_File_
~~~
# GGA-PBE MoPtWS2, relaxed
# - ΔE_f (raw) (eV per atom) = 1.2021
# - D(E_F) (states/eV/atom) = 1.212
# - magnetization (Bohr magnetons per cell) = 0.001
data_MoPtWS2
_chemical_formula_sum 'Mo1 Pt1 W1 S2'
_symmetry_space_group_name_H-M 'P 4/m m m'
_symmetry_Int_Tables_number 123
_symmetry_space_group_name_Hall '-P 4 2'
_cell_length_a 4.446
_cell_length_b 4.446
_cell_length_c 5.106
_cell_angle_alpha 90.00
_cell_angle_beta 90.00
_cell_angle_gamma 90.00
loop_
_atom_site_label
_atom_site_type_symbol
_atom_site_fract_x
_atom_site_fract_y
_atom_site_fract_z
Mo1 Mo 0.000 0.000 0.000
Pt1 Pt 0.500 0.500 0.500
W1 W 0.000 0.000 0.500
S1 S 0.000 0.500 0.000

~~~~~

Material: TbDy3In
Method: DFT, PBE-GGA
State: relaxed

The space group is C2/m (No. 12) and the conventional cell measures 16.6259, 5.2040 and 6.8867 Å, with angles of 90.00, 90.22 and 90.00 degrees. The distinct sites, in fractional coordinates, are Tb at (0.1096, 0.0000, 0.4954), Dy at (0.0042, 0.5000, 0.7505), Dy at (0.1100, 0.0000, 0.0030), Dy at (0.2040, 0.5000, 0.2504) and In at (0.1973, 0.5000, 0.7513).

The calculation puts the density of states at the Fermi level at 1.424 states/eV per atom. Its total energy is -4.42 eV per atom. The calculated formation energy is -0.186 eV per atom.



Material: LiSi2S4
Method: DFT, PBE-GGA
State: relaxed

The space group is I4/m (No. 87) and the conventional cell measures 7.3031, 7.3031 and 5.8246 Å, with angles of 90.00, 90.00 and 90.00 degrees. The distinct sites, in fractional coordinates, are Li at (0.0000, 0.0000, 0.0000), Si at (0.0000, 0.5000, 0.2500) and S at (0.1504, 0.6724, 0.0000).

The calculation puts the density of states at the Fermi level at 0.500 states/eV per atom. Its total energy is -4.76 eV per atom. Its uncorrected formation energy is -0.58 eV/atom.



Material: ThGe2
Method: DFT, PBE-GGA
State: relaxed

The space group is P2_1/m (No. 11) and the conventional cell measures 4.1628, 4.0235 and 8.7345 Å, with angles of 90.00, 103.76 and 90.00 degrees. The distinct sites, in fractional coordinates, are Th at (0.1070, 0.2500, 0.2153), Ge at (0.2513, 0.7500, 0.5018) and Ge at (0.4519, 0.2500, 0.9032).

The calculation puts the density of states at the Fermi level at 0.196 states/eV per atom. Its total energy is -6.16 eV per atom. The calculated formation energy is -0.609 eV per atom.

~~~~~

A geometry-optimized Cr2AuF structure. Source: the Alexandria database, functional GGA+U.

a b c (Å): 5.6825 5.6825 5.6825
angles (deg): 108.39 108.39 111.66
Atoms (fractional coordinates):
Cr1 0.0612 0.6250 0.9362
Cr2 0.3750 0.3112 0.4362
Cr3 0.6888 0.1250 0.0638
Cr4 0.8750 0.9388 0.5638
Au1 0.2500 0.7500 0.5000
Au2 0.5000 0.5000 0.0000
F1 0.0000 0.0000 0.0000
F2 0.7500 0.2500 0.5000

Results
DOS at the Fermi energy: 4.81 states/eV/cell
uncorrected energy: -5.488 eV/atom
magnetic moment: 2.3752 μB/atom
space group: I-42d, No. 122

~~~~~

A plane-wave DFT calculation with PBE-GGA was carried out for TbDyCuRh after structural relaxation.

Structure (POSCAR):
```
TbDyCuRh
1.0
4.384 0.000 0.000
0.000 1.893 5.190
0.000 -1.893 5.190
Tb Dy Cu Rh
1 1 1 1
direct
0.000 0.000 0.000
0.500 0.278 0.278
0.500 0.565 0.565
0.000 0.721 0.721
```

Summary:
Spin magnetization in μB/f.u.: 0.00
V in Å³/cell: 86
Energy of formation from the pure elements in eV/f.u.: -2.3
Total DFT energy (no corrections) in eV/atom: -5.750


A plane-wave DFT calculation with PBE-GGA was carried out for PmSm4Y15 after structural relaxation.

Structure (POSCAR):
```
PmSm4Y15
1.0
5.076 0.000 0.000
0.000 5.076 0.000
0.000 0.000 25.315
Pm Sm Y
1 4 15
direct
0.000 0.000 0.000
0.000 0.000 0.200
0.000 0.000 0.400
0.000 0.000 0.600
0.000 0.000 0.800
0.000 0.500 0.100
0.000 0.500 0.300
0.000 0.500 0.500
0.000 0.500 0.700
0.000 0.500 0.900
0.500 0.000 0.100
0.500 0.000 0.300
0.500 0.000 0.500
0.500 0.000 0.700
0.500 0.000 0.900
0.500 0.500 0.000
0.500 0.500 0.200
0.500 0.500 0.400
0.500 0.500 0.600
0.500 0.500 0.800
```

Summary:
Spin magnetization in μB/f.u.: 0.00
~~~

_Request_
The reader should find the line above that holds "Material: LiSi2S4", then print that line and all lines after it there.

_Outcome_
Material: LiSi2S4
Method: DFT, PBE-GGA
State: relaxed

The space group is I4/m (No. 87) and the conventional cell measures 7.3031, 7.3031 and 5.8246 Å, with angles of 90.00, 90.00 and 90.00 degrees. The distinct sites, in fractional coordinates, are Li at (0.0000, 0.0000, 0.0000), Si at (0.0000, 0.5000, 0.2500) and S at (0.1504, 0.6724, 0.0000).

The calculation puts the density of states at the Fermi level at 0.500 states/eV per atom. Its total energy is -4.76 eV per atom. Its uncorrected formation energy is -0.58 eV/atom.



Material: ThGe2
Method: DFT, PBE-GGA
State: relaxed

The space group is P2_1/m (No. 11) and the conventional cell measures 4.1628, 4.0235 and 8.7345 Å, with angles of 90.00, 103.76 and 90.00 degrees. The distinct sites, in fractional coordinates, are Th at (0.1070, 0.2500, 0.2153), Ge at (0.2513, 0.7500, 0.5018) and Ge at (0.4519, 0.2500, 0.9032).

The calculation puts the density of states at the Fermi level at 0.196 states/eV per atom. Its total energy is -6.16 eV per atom. The calculated formation energy is -0.609 eV per atom.

~~~~~

A geometry-optimized Cr2AuF structure. Source: the Alexandria database, functional GGA+U.

a b c (Å): 5.6825 5.6825 5.6825
angles (deg): 108.39 108.39 111.66
Atoms (fractional coordinates):
Cr1 0.0612 0.6250 0.9362
Cr2 0.3750 0.3112 0.4362
Cr3 0.6888 0.1250 0.0638
Cr4 0.8750 0.9388 0.5638
Au1 0.2500 0.7500 0.5000
Au2 0.5000 0.5000 0.0000
F1 0.0000 0.0000 0.0000
F2 0.7500 0.2500 0.5000

Results
DOS at the Fermi energy: 4.81 states/eV/cell
uncorrected energy: -5.488 eV/atom
magnetic moment: 2.3752 μB/atom
space group: I-42d, No. 122

~~~~~

A plane-wave DFT calculation with PBE-GGA was carried out for TbDyCuRh after structural relaxation.

Structure (POSCAR):
```
TbDyCuRh
1.0
4.384 0.000 0.000
0.000 1.893 5.190
0.000 -1.893 5.190
Tb Dy Cu Rh
1 1 1 1
direct
0.000 0.000 0.000
0.500 0.278 0.278
0.500 0.565 0.565
0.000 0.721 0.721
```

Summary:
Spin magnetization in μB/f.u.: 0.00
V in Å³/cell: 86
Energy of formation from the pure elements in eV/f.u.: -2.3
Total DFT energy (no corrections) in eV/atom: -5.750


A plane-wave DFT calculation with PBE-GGA was carried out for PmSm4Y15 after structural relaxation.

Structure (POSCAR):
```
PmSm4Y15
1.0
5.076 0.000 0.000
0.000 5.076 0.000
0.000 0.000 25.315
Pm Sm Y
1 4 15
direct
0.000 0.000 0.000
0.000 0.000 0.200
0.000 0.000 0.400
0.000 0.000 0.600
0.000 0.000 0.800
0.000 0.500 0.100
0.000 0.500 0.300
0.000 0.500 0.500
0.000 0.500 0.700
0.000 0.500 0.900
0.500 0.000 0.100
0.500 0.000 0.300
0.500 0.000 0.500
0.500 0.000 0.700
0.500 0.000 0.900
0.500 0.500 0.000
0.500 0.500 0.200
0.500 0.500 0.400
0.500 0.500 0.600
0.500 0.500 0.800
```

Summary:
Spin magnetization in μB/f.u.: 0.00